Friday, November 30, 2018

The Author, Part 2

In this scene, Adam goes camping.  Chaos ensues, but then peace is restored.

"Once I went camping in my backyard."

"We went to the tent.  It was dark.  I could hear the cricits.  I did not know"

"Ashley got scared so she went inside."

"Tate would not let me sleep.  I told Daddy. Daddy got mad at Tate!"  Read the caption in the drawing.... "Tate!  You're going inside!" (Daddy);  "Good grief" (Adam); "waaa!" (Tate)

Daddy said "Tate you're going inside."  I said "good grief!"

I went back to the tent.  I was tired.

The next morning it was sunny.  I could see the lake.  I could see the tent.  I could see the oak tree.

Thursday, November 29, 2018

The Author, Part 1

Recently Adam's teacher sent home samples of his creative writing.  The writing is on par with what I'd expect from a boy his age... but the drawings!  Wow!  Look at this cruise ship!  And the parked cars with open trunks!  This is one observant guy....

"Once I went on a cruise ship"

Next to the text, the page also holds calculated crystals >
<<<
DFT (PBE) results for crystalline RbBa2Rh2 at its relaxed geometry.

Cell and atoms, written as POSCAR:
```
RbBa2Rh2
1.0
-3.8500 7.6586 -3.7254
3.2830 -2.4379 -8.4045
-2.9693 -1.8026 -0.6370
Rh Ba Rb
4 4 2
Direct
0.1584 0.6584 0.5000
0.6584 0.8416 0.5000
0.8416 0.3416 0.5000
0.3416 0.1584 0.5000
0.3636 0.8636 0.0000
0.8636 0.6364 0.0000
0.6364 0.1364 0.0000
0.1364 0.3636 0.0000
0.0000 0.0000 0.0000
0.5000 0.5000 0.0000
```

Results
- relative energy among the computed polymorphs (kJ/mol of formula units) = 20
- mass density (g/cm³) = 6.09
- energy relative to the elements (eV/f.u.) = 1.08
- electronic total energy (eV/atom) = -3.69
- SG = P4/mbm, No. 127

---

DFT (PBE) results for crystalline MnNiRh4 at its relaxed geometry.

Cell and atoms, written as POSCAR:
```
MnNiRh4
1.0
1.5562 -4.6553 1.3154
-2.5717 -4.0833 -1.5927
2.0336 -3.0806 -3.4925
Mn Ni Rh
1 1 4
Direct
0.7500 0.7500 0.7500
0.0000 0.0000 0.0000
0.8755 0.3748 0.3748
0.3748 0.3748 0.8755
0.3748 0.8755 0.3748
0.3748 0.3748 0.3748
```

Results
- relative energy among the computed polymorphs (kJ/mol of formula units) = 0
- mass density (g/cm³) = 9.40
- energy relative to the elements (eV/f.u.) = 2.31
- electronic total energy (eV/atom) = -7.01
- SG = F-43m, No. 216

---

DFT (PBE) results for crystalline AlTcAg2F at its relaxed geometry.

Cell and atoms, written as POSCAR:
```
AlTcAg2F
1.0
5.0610 0.0000 0.0000
0.0000 3.5278 0.0000
0.0000 0.0000 5.0610
F Tc Ag Al
1 1 2 1
Direct
0.0000 0.5000 0.0000
0.5000 0.5000 0.5000
0.0000 0.0000 0.5000
0.5000 0.0000 0.0000
0.0000 0.0000 0.0000
```

Results
- mass density (g/cm³) = 6.61
- electronic total energy (eV/atom) = -4.20
- SG = P4/mmm, No. 123
- uncorrected formation energy (eV/atom) = 0.14

---

DFT (PBE) results for crystalline BaSc3In at its relaxed geometry.

Cell and atoms, written as POSCAR:
```
BaSc3In
1.0
-3.6898 -3.3808 -2.4334
3.8584 -1.5490 -3.6986
1.5697 -4.1397 3.3712
Sc Ba In
3 1 1
Direct
0.0000 0.5000 0.0000
0.0000 0.0000 0.5000
0.5000 0.0000 0.0000
0.5000 0.5000 0.5000
0.0000 0.0000 0.0000
```

Results
- relative energy among the computed polymorphs (kJ/mol of formula units) = 0
- mass density (g/cm³) = 3.73
- energy relative to the elements (eV/f.u.) = 1.65
- electronic total energy (eV/atom) = -4.40
- SG = Pm-3m, No. 221

---

DFT (PBE) results for crystalline CaMo2Br at its relaxed geometry.

Cell and atoms, written as POSCAR:
```
CaMo2Br
1.0
-6.7916 4.0329 -5.7822
-6.3306 1.4229 -7.3295
-8.2986 1.4839 -4.9754
Mo Ca Br
2 1 1
Direct
0.9907 0.9907 0.9907
0.5093 0.5093 0.5093
0.7500 0.7500 0.7500
0.2500 0.2500 0.2500
```

Results
- relative energy among the computed polymorphs (kJ/mol of formula units) = 363
- mass density (g/cm³) = 6.59
- electronic total energy (eV/atom) = -5.38
- SG = R-3m, No. 166
- uncorrected formation energy (eV/atom) = 0.95

---

DFT (PBE) results for crystalline Co4SbPb at its relaxed geometry.

Cell and atoms, written as POSCAR:
```
Co4SbPb
1.0
-1.2775 2.0903 4.4502
-3.8299 3.3289 0.2364
>>>

"We got on the ship and had lunch."

"Then we went..."  (for the record, this is what the staterooms did look like!)

And we did see the Statue of Liberty from our balcony window when we cruised out of the NJ port.  Very accurate!

Wednesday, November 28, 2018


Tate's favorite part of going to Costco?  Asking for "zamples", of course.  Here we were on the way out of the store.  He's a big boy and prefers balancing on the box to sitting in his seat:

Hey, paparazzi Mommy!  Willya turn off the camera?

Tuesday, November 27, 2018

To Mahoney's We Go

Every few months we hit up Mahoney's to see what's new and exciting in the world of horticulture.  This time 'round Tate got to experience cactii up close and personal (thank you Daddy for this one).

Eeeh!  Prickly lookin' thing, ain't it?

Wonder if it smells nice?  Like flowers?

Nope.  Not going there.

Friday, November 23, 2018

Jr. Celtics Clinic

 The kids were thrilled this fall: I enrolled them in a basketball clinic at the Y!  So imagine their excitement level when I told them that the next class was called Jr Celtics Clinic.  Here we are at the draft meeting someone from the Celtics back office:

Gathering 'round to get a pep talk.

Even Daddy and Tate enjoyed the pep talk!

Modeling our new Celtics jerseys

Best part of all?  Snapping a photo with a real team trophy!


Thursday, November 22, 2018

Artist on Fire

For a kid who couldn't be bothered to put pen (or brush) to paper in preschool, this explosion of drawing talent is taking us all by surprise.

Here's Adam's latest piece:  race car with detailed paint job:

Tuesday, November 13, 2018

A Dinner in the Life... of my Family

Boy -- who taught these kids how to unlock my phone?  I'm not sure.

Ashley decided to take advantage of the situation by documenting what I like to call: A Dinner in the Life... of my Family.

Monday, November 12, 2018

The Daily Dispatch

We receive a weekly email from the thoughtful teachers at preschool outlining the wonderful educational experience our children have had along with a few snapshots for good measure. 

Since the technology to do this is so very new, I can only wonder how my parents were notified of my every move and experience when I was this age.  I guess they took it on faith and were simply happy that there weren't any disciplinary calls to the house?

Sunday, November 11, 2018

Guest Photographer

Here are some snapshots captured by Laura this fall.  We should designate her as the official family photographer!

At Carlson Orchards

At Museum of Science

At Carlson Orchards

At McCue's Garden Center / Corn Maze

Saturday, November 10, 2018

Happy Halloween!

Continuing the proud tradition, Tate decided to be a race car driver this year.

Friday, November 9, 2018

Fitness on the Homefront

When there's no time to run to the gym, MLD gets creative about fitting in his daily workouts:

What a good example to set for his children.

Thursday, November 8, 2018

Pogo to Go-Go

Here's Tate opening and then trying out some of his new swag.  You'll note he's a tech-savvy guy who has jumped on the "unboxing" YouTube phenomenon :)

Wednesday, November 7, 2018

Tuesday, November 6, 2018

Monday, November 5, 2018

Birthday Boy

Thank you, loyal readers, for not pointing out how belated this birthday post actually is.  For those of you who know our family, you'll know things are more than busy on the homefront.  Perhaps one day our birthday boy will forgive me?

We bounced and tumbled and sang with our friends.  What a fun day it was!  Both sets of grandparents and one imported cousin celebrated with us too.  A very special day indeed.